# Input
(1)
This entry pairs a crystal structure of LaY3In with its computed X-ray diffraction stick pattern. Radiation: Cu Kα (weighted mean of Kα1 and Kα2). Structure: DFT lattice parameters and positions (GGA-PBE).

Main lines, in order of rising 2θ (2θ = 10–80°):
- 2.971 Å, I = 22
- 2.816 Å, I = 33
- 2.725 Å, I = 100
- 2.601 Å, I = 18
- 2.044 Å, I = 15
- 1.828 Å, I = 7
- 1.664 Å, I = 7
- 1.608 Å, I = 21
- 1.533 Å, I = 8
- 1.431 Å, I = 11

```
LaY3In
1.0
2.816 -9.140 0.000
2.816 9.140 0.000
0.000 0.000 5.941
La Y In
2 6 2
Cartesian
2.816 6.637 2.971
2.816 -6.637 0.000
2.816 8.119 5.783
2.816 4.545 5.441
2.816 0.865 5.055
2.816 -0.865 2.084
2.816 -4.545 2.471
2.816 -8.119 2.812
2.816 2.768 2.305
2.816 -2.768 5.276
```

=====

(2)
This entry pairs a crystal structure of La2Y3In4 with its computed X-ray diffraction stick pattern. Radiation: Cu Kα (weighted mean of Kα1 and Kα2). Structure: DFT lattice parameters and positions (GGA-PBE).

Main lines, in order of rising 2θ (2θ = 10–80°):
- 3.186 Å, I = 20
- 3.106 Å, I = 62
- 2.910 Å, I = 78
- 2.870 Å, I = 44
- 2.819 Å, I = 100
- 2.737 Å, I = 25
- 2.704 Å, I = 27
- 1.910 Å, I = 23
- 1.795 Å, I = 20
- 1.790 Å, I = 24

```
La2Y3In4
1.0
3.581 -8.492 0.000
3.581 8.492 0.000
0.000 0.000 9.148
La Y In
4 6 8
Cartesian
3.581 6.640 8.435
3.581 1.852 3.861
3.581 -1.852 5.287
3.581 -6.640 0.713
0.000 0.000 4.574
1.790 3.701 6.861
1.790 -3.701 2.287
3.581 0.000 0.000
5.371 3.701 6.861
5.371 -3.701 2.287
3.581 5.386 4.940
1.790 0.630 6.861
1.790 -0.630 2.287
3.581 3.105 0.366
3.581 -3.105 8.782
5.371 0.630 6.861
5.371 -0.630 2.287
3.581 -5.386 4.208
```

=====

(3)
This entry pairs a crystal structure of LaY2In6 with its computed X-ray diffraction stick pattern. Radiation: Cu Kα (weighted mean of Kα1 and Kα2). Structure: DFT lattice parameters and positions (GGA-PBE).

Main lines, in order of rising 2θ (2θ = 10–80°):
- 3.640 Å, I = 11
- 2.790 Å, I = 100
- 2.508 Å, I = 86
- 2.065 Å, I = 14
- 1.865 Å, I = 30
- 1.820 Å, I = 11
- 1.497 Å, I = 29
- 1.473 Å, I = 32
- 1.448 Å, I = 15
- 1.254 Å, I = 9

```
LaY2In6
1.0
8.689 0.000 0.000
-4.344 7.525 0.000
0.000 0.000 3.640
La Y In
1 2 6
Cartesian
0.000 0.000 0.000
0.000 5.016 0.000
4.344 2.508 0.000
-1.460 2.529 1.820
-2.884 4.996 1.820
2.920 0.000 1.820
1.460 2.529 1.820
5.769 0.000 1.820
2.884 4.996 1.820
```

=====

(4)
This entry pairs a crystal structure of LaY4In with its computed X-ray diffraction stick pattern. Radiation: Cu Kα (weighted mean of Kα1 and Kα2). Structure: DFT lattice parameters and positions (GGA-PBE).

Main lines, in order of rising 2θ (2θ = 10–80°):
- 2.882 Å, I = 26
- 2.828 Å, I = 28
- 2.790 Å, I = 100
- 2.019 Å, I = 18
- 1.930 Å, I = 8
- 1.646 Å, I = 13
- 1.625 Å, I = 19
- 1.594 Å, I = 8
- 1.395 Å, I = 9
- 1.270 Å, I = 9

```
LaY4In
1.0
2.828 -8.646 0.000
2.828 8.646 0.000
0.000 0.000 7.718
La Y In
2 8 2
Cartesian
2.828 5.537 3.859
2.828 -5.537 0.000
2.828 8.542 5.907
2.828 5.686 0.078
2.828 2.588 1.722
2.828 0.240 3.937
2.828 -0.240 0.078
2.828 -2.588 5.581
2.828 -5.686 3.937
2.828 -8.542 2.048
2.828 2.738 5.949
2.828 -2.738 2.090
```

=====

(5)
This entry pairs a crystal structure of La8Y6In with its computed X-ray diffraction stick pattern. Radiation: Cu Kα (weighted mean of Kα1 and Kα2). Structure: DFT lattice parameters and positions (GGA-PBE).

Main lines, in order of rising 2θ (2θ = 10–80°):
- 3.475 Å, I = 23
- 3.133 Å, I = 25
- 3.056 Å, I = 25
- 2.787 Å, I = 100
- 2.748 Å, I = 44
- 2.695 Å, I = 14
- 2.273 Å, I = 12
- 1.790 Å, I = 15
- 1.764 Å, I = 15
- 1.491 Å, I = 13

```
La8Y6In
1.0
9.337 0.000 0.000
-4.668 8.086 0.000
0.000 0.000 6.798
La Y In
8 6 1
Cartesian
-0.851 2.262 2.244
-2.283 7.692 2.244
1.534 1.868 4.554
0.000 5.391 2.525
4.668 2.695 4.273
3.135 6.218 2.244
6.952 0.394 4.554
5.520 5.823 4.554
-1.113 3.559 5.780
-1.030 7.270 5.780
2.526 2.743 1.018
2.143 5.343 5.780
5.698 0.816 1.018
5.781 4.527 1.018
0.000 0.000 0.000
```

=====

(6)
# Exercise
Your job: transcribe the rows further up from the first line to the one with "5.371 -3.701" verbatim.
# Completed
(1)
This entry pairs a crystal structure of LaY3In with its computed X-ray diffraction stick pattern. Radiation: Cu Kα (weighted mean of Kα1 and Kα2). Structure: DFT lattice parameters and positions (GGA-PBE).

Main lines, in order of rising 2θ (2θ = 10–80°):
- 2.971 Å, I = 22
- 2.816 Å, I = 33
- 2.725 Å, I = 100
- 2.601 Å, I = 18
- 2.044 Å, I = 15
- 1.828 Å, I = 7
- 1.664 Å, I = 7
- 1.608 Å, I = 21
- 1.533 Å, I = 8
- 1.431 Å, I = 11

```
LaY3In
1.0
2.816 -9.140 0.000
2.816 9.140 0.000
0.000 0.000 5.941
La Y In
2 6 2
Cartesian
2.816 6.637 2.971
2.816 -6.637 0.000
2.816 8.119 5.783
2.816 4.545 5.441
2.816 0.865 5.055
2.816 -0.865 2.084
2.816 -4.545 2.471
2.816 -8.119 2.812
2.816 2.768 2.305
2.816 -2.768 5.276
```

=====

(2)
This entry pairs a crystal structure of La2Y3In4 with its computed X-ray diffraction stick pattern. Radiation: Cu Kα (weighted mean of Kα1 and Kα2). Structure: DFT lattice parameters and positions (GGA-PBE).

Main lines, in order of rising 2θ (2θ = 10–80°):
- 3.186 Å, I = 20
- 3.106 Å, I = 62
- 2.910 Å, I = 78
- 2.870 Å, I = 44
- 2.819 Å, I = 100
- 2.737 Å, I = 25
- 2.704 Å, I = 27
- 1.910 Å, I = 23
- 1.795 Å, I = 20
- 1.790 Å, I = 24

```
La2Y3In4
1.0
3.581 -8.492 0.000
3.581 8.492 0.000
0.000 0.000 9.148
La Y In
4 6 8
Cartesian
3.581 6.640 8.435
3.581 1.852 3.861
3.581 -1.852 5.287
3.581 -6.640 0.713
0.000 0.000 4.574
1.790 3.701 6.861
1.790 -3.701 2.287
3.581 0.000 0.000
5.371 3.701 6.861
5.371 -3.701 2.287